File >
- - -
[1]
First-principles (meta-GGA r2SCAN) data for a geometry-optimized NiAsPd structure, as listed in the Materials Project.

symmetry	No. 189
E_form	-29.4	kJ per mole of atoms

```
NiAsPd
1.0
-4.8558 3.8294 -0.0759
0.5656 -4.1874 4.5160
1.9199 2.4752 2.0546
Ni As Pd
3 3 3
Cartesian
0.4246 -3.1434 3.3901
-1.0696 -0.0893 1.1070
-3.6452 2.8747 -0.0570
-1.2415 -1.5151 2.9854
-3.0487 1.1571 1.4548
0.9599 1.2376 1.0273
1.1921 -0.4814 2.8812
-1.5691 1.0266 3.6447
-1.0334 2.8096 0.9962
```

---

[2]
First-principles (meta-GGA r2SCAN) data for a geometry-optimized YLuZn2 structure, as listed in the Materials Project.

symmetry	No. 225
E_form	-37.7	kJ per mole of atoms

```
YLuZn2
1.0
2.5246 1.6373 3.9570
-2.3965 0.9934 4.2405
0.6140 -2.9519 3.9523
Y Lu Zn
1 1 2
Cartesian
0.5566 -0.2409 9.1124
0.1855 -0.0803 3.0375
0.0000 0.0000 0.0000
0.3711 -0.1606 6.0749
```

---

Number 1: density 9.64 Mg/m³, calculated total energy -16.855 eV per atom. Number 2: density 7.55 Mg/m³, calculated total energy -19.445 eV per atom.

----------

(1)
Here is a geometry-optimized ThNb4O12 structure from the Materials Project. Energies are from PBE-GGA.

Results
Space group: Immm (71)
Offset from the most stable computed form, eV/atom: 0.000

The structure in POSCAR format:
```
ThNb4O12
1.0
-2.801 8.007 8.454
2.801 -8.007 8.454
2.801 8.007 -8.454
Th Nb O
3 12 36
direct
0.000 0.000 0.000
0.828 0.328 0.500
0.172 0.672 0.500
0.960 0.827 0.134
0.693 0.827 0.866
0.534 0.157 0.376
0.781 0.157 0.624
0.620 0.500 0.120
0.136 0.500 0.636
0.380 0.500 0.880
0.864 0.500 0.364
0.219 0.843 0.376
0.466 0.843 0.624
0.307 0.173 0.134
0.040 0.173 0.866
0.000 0.500 0.500
0.846 0.846 0.000
0.648 0.493 0.619
0.873 0.028 0.381
0.648 0.028 0.155
0.873 0.493 0.845
0.682 0.182 0.500
0.423 0.170 0.252
0.918 0.170 0.748
0.188 0.328 0.355
0.973 0.328 0.140
0.707 0.337 0.874
0.463 0.337 0.630
0.188 0.833 0.860
0.973 0.833 0.645
0.463 0.832 0.126
0.707 0.832 0.370
0.500 0.500 0.000
0.252 0.500 0.752
0.748 0.500 0.248
0.293 0.168 0.630
0.027 0.167 0.355
0.537 0.663 0.370
0.293 0.663 0.126
0.537 0.168 0.874
0.027 0.672 0.860
0.812 0.167 0.140
0.812 0.672 0.645
0.577 0.830 0.748
0.082 0.830 0.252
0.318 0.818 0.500
0.127 0.507 0.155
0.352 0.507 0.381
0.352 0.972 0.845
0.127 0.972 0.619
0.154 0.154 0.000
```

***

(2)
Here is a geometry-optimized CaP2H4O4 structure from the Materials Project. Energies are from PBE-GGA.

Results
Space group: C2/c (15)
E_tot, eV/atom: -5.70

The structure in POSCAR format:
```
CaP2H4O4
1.0
2.866 7.626 0.000
-2.866 7.626 0.000
0.000 1.418 6.605
Ca P H O
2 4 8 8
direct
0.167 0.833 0.750
0.833 0.167 0.250
0.542 0.175 0.718
0.825 0.458 0.782
0.458 0.825 0.282
0.175 0.542 0.218
0.467 0.093 0.637
0.907 0.533 0.863
0.533 0.907 0.363
0.093 0.467 0.137
0.601 0.057 0.917
0.943 0.399 0.583
0.399 0.943 0.083
0.057 0.601 0.417
0.936 0.213 0.898
0.787 0.064 0.602
0.456 0.323 0.229
0.677 0.544 0.271
0.544 0.677 0.771
0.323 0.456 0.729
0.213 0.936 0.398
0.064 0.787 0.102
```

***

(3)
Here is a geometry-optimized Gd2MgSi2 structure from the Materials Project. Energies are from PBE-GGA.

Results
Space group: P4/mbm (127)
E_tot, eV/atom: -8.82

The structure in POSCAR format:
```
Gd2MgSi2
1.0
7.232 0.000 0.000
0.000 7.232 0.000
0.000 0.000 4.248
Gd Mg Si
4 2 4
direct
0.679 0.179 0.500
0.321 0.821 0.500
0.179 0.321 0.500
0.821 0.679 0.500
0.000 0.000 0.000
0.500 0.500 0.000
0.117 0.617 0.000
0.883 0.383 0.000
0.617 0.883 0.000
0.383 0.117 0.000
```

----------

[1]
Material: CeSi2Au4
Method: DFT, PBE
State: relaxed

abc: 4.3276 4.3276 27.6734
angles: 90.00 90.00 90.00
Closest atoms and distances in Å follow each position.
Space group P-4m2 (No. 115)
Symmetry-distinct sites (fractional):
Ce: 0.0000 0.0000 0.0000  8 Au 3.24, 8 Si 3.27
Ce: 0.0000 0.0000 0.5000  8 Au 3.23-3.24, 8 Si 3.27
Ce: 0.0000 0.5000 0.2517  8 Au 3.21-3.27, 8 Si 3.27
Si: 0.0000 0.5000 0.7062  1 Si 2.32, 4 Au 2.48-2.49
Si: 0.0000 0.5000 0.7901  1 Si 2.32, 4 Au 2.51-2.52
- - -
Activity >
It remains to quote only the lines earlier on with the word "Zn" in them.
Outcome >
Y Lu Zn